### Listing
........
HoBeAu3 after structural relaxation. Source: Alexandria via LeMat-Bulk, functional PBE.

Cell and atoms, written as POSCAR:
```
HoBeAu3
1.0
4.549 -0.088 -0.186
-0.190 4.546 -0.186
-0.086 -0.088 4.552
Ho Be Au
1 1 3
Direct
0.346 0.346 0.346 Ho
0.754 0.754 0.754 Be
0.276 0.841 0.841 Au
0.841 0.841 0.276 Au
0.841 0.276 0.841 Au
```

ΔE_f	-483	meV per atom
total moment	0.000	μB/cell

HoBe4Au8 after structural relaxation. Source: Alexandria via LeMat-Bulk, functional PBE.

Cell and atoms, written as POSCAR:
```
HoBe4Au8
1.0
-4.904 -1.390 -1.355
-3.158 -3.585 4.843
-4.649 4.619 1.824
Ho Be Au
1 4 8
Direct
0.000 0.000 0.000 Ho
0.000 0.000 0.500 Be
0.500 0.000 0.500 Be
0.000 0.500 0.000 Be
0.500 0.500 0.000 Be
0.000 0.326 0.674 Au
0.000 0.674 0.326 Au
0.326 0.674 0.674 Au
0.674 0.326 0.326 Au
0.500 0.778 0.222 Au
0.500 0.222 0.778 Au
0.278 0.222 0.222 Au
0.722 0.778 0.778 Au
```

ΔE_f	-278	meV per atom
offset from the most stable computed form	0.00	eV per formula unit
total moment	0.000	μB/cell

HoBe6Au12 after structural relaxation. Source: Alexandria via LeMat-Bulk, functional PBE.

Cell and atoms, written as POSCAR:
```
HoBe6Au12
1.0
7.355 0.000 0.000
-2.452 6.935 0.000
-2.452 -3.467 6.006
Ho Be Au
1 6 12
Direct
0.000 0.000 0.000 Ho
0.372 0.500 0.872 Be
0.628 0.500 0.128 Be
0.500 0.872 0.372 Be
0.500 0.128 0.628 Be
0.872 0.372 0.500 Be
0.128 0.628 0.500 Be
0.308 0.135 0.827 Au
0.308 0.481 0.173 Au
0.692 0.519 0.827 Au
0.692 0.865 0.173 Au
0.135 0.827 0.308 Au
0.481 0.173 0.308 Au
0.519 0.827 0.692 Au
0.865 0.173 0.692 Au
0.827 0.308 0.135 Au
0.173 0.308 0.481 Au
0.827 0.692 0.519 Au
0.173 0.692 0.865 Au
```

ΔE_f	-99	meV per atom
total moment	0.000	μB/cell

HoBe5Au7 after structural relaxation. Source: Alexandria via LeMat-Bulk, functional PBE.

Cell and atoms, written as POSCAR:
```
HoBe5Au7
1.0
-1.135 -2.674 -4.105
5.508 -2.202 -3.169
-0.612 -6.558 1.360
Ho Be Au
1 5 7
Direct
0.992 0.008 0.008 Ho
0.503 0.990 0.497 Be
0.010 0.990 0.497 Be
0.503 0.497 0.990 Be
0.010 0.497 0.990 Be
0.732 0.768 0.768 Be
0.651 0.349 0.349 Au
0.319 0.681 0.681 Au
0.974 0.365 0.688 Au
0.974 0.688 0.365 Au
0.273 0.227 0.227 Au
0.530 0.778 0.161 Au
0.530 0.161 0.778 Au
```

ΔE_f	-292	meV per atom
total moment	0.000	μB/cell

Ho2Be3Au9 after structural relaxation. Source: Alexandria via LeMat-Bulk, functional PBE.

Cell and atoms, written as POSCAR:
```
Ho2Be3Au9
1.0
1.235 -5.139 -5.740
-1.800 -2.480 7.176
-9.227 4.515 -0.711
Ho Be Au
4 6 18
Direct
0.339 0.246 0.751 Ho
0.661 0.754 0.249 Ho
0.995 0.587 0.749 Ho
0.005 0.413 0.251 Ho
0.500 0.000 0.000 Be
0.500 0.500 0.500 Be
0.864 0.181 0.502 Be
0.136 0.819 0.498 Be
0.179 0.363 0.998 Be
0.821 0.637 0.002 Be
0.430 0.917 0.741 Au
0.570 0.083 0.259 Au
0.676 0.689 0.759 Au
0.324 0.311 0.241 Au
0.436 0.631 0.925 Au
0.564 0.369 0.075 Au
0.206 0.512 0.575 Au
0.794 0.488 0.425 Au
0.909 0.159 0.750 Au
0.091 0.841 0.250 Au
0.141 0.988 0.942 Au
0.859 0.012 0.058 Au
0.546 0.200 0.558 Au
0.454 0.800 0.442 Au
0.880 0.857 0.569 Au
0.120 0.143 0.431 Au
0.788 0.311 0.931 Au
0.212 0.689 0.069 Au
```

ΔE_f	-446	meV per atom
total moment	0.000	μB/cell

HoBe4Au8 after structural relaxation. Source: Alexandria via LeMat-Bulk, functional PBE.

Cell and atoms, written as POSCAR:
```
HoBe4Au8
1.0
8.090 1.325 0.946
5.060 6.449 0.946
5.060 2.992 5.791
Ho Be Au
1 4 8
Direct
0.000 0.000 0.000 Ho
0.500 0.500 0.500 Be
0.500 0.500 0.000 Be
0.000 0.500 0.500 Be
0.500 0.000 0.500 Be
0.780 0.267 0.267 Au
0.267 0.267 0.780 Au
0.267 0.780 0.267 Au
0.270 0.270 0.270 Au
0.730 0.730 0.730 Au
0.733 0.733 0.220 Au
0.733 0.220 0.733 Au
0.220 0.733 0.733 Au
```

ΔE_f	38	meV per atom
offset from the most stable computed form	4.11	eV per formula unit
total moment	0.000	μB/cell

Ho2BeAu after structural relaxation. Source: Alexandria via LeMat-Bulk, functional PBE.

Cell and atoms, written as POSCAR:
```
Ho2BeAu
1.0
-2.242 0.030 -2.707
1.715 -2.703 -1.451
-4.092 -4.390 3.340
Be Au Ho
1 1 2
Direct
0.500 0.500 0.000 Be
0.500 0.500 0.500 Au
........

### Wanted
What is needed: set down all of the entries above character by character.

### Worked solution
HoBeAu3 after structural relaxation. Source: Alexandria via LeMat-Bulk, functional PBE.

Cell and atoms, written as POSCAR:
```
HoBeAu3
1.0
4.549 -0.088 -0.186
-0.190 4.546 -0.186
-0.086 -0.088 4.552
Ho Be Au
1 1 3
Direct
0.346 0.346 0.346 Ho
0.754 0.754 0.754 Be
0.276 0.841 0.841 Au
0.841 0.841 0.276 Au
0.841 0.276 0.841 Au
```

ΔE_f	-483	meV per atom
total moment	0.000	μB/cell

HoBe4Au8 after structural relaxation. Source: Alexandria via LeMat-Bulk, functional PBE.

Cell and atoms, written as POSCAR:
```
HoBe4Au8
1.0
-4.904 -1.390 -1.355
-3.158 -3.585 4.843
-4.649 4.619 1.824
Ho Be Au
1 4 8
Direct
0.000 0.000 0.000 Ho
0.000 0.000 0.500 Be
0.500 0.000 0.500 Be
0.000 0.500 0.000 Be
0.500 0.500 0.000 Be
0.000 0.326 0.674 Au
0.000 0.674 0.326 Au
0.326 0.674 0.674 Au
0.674 0.326 0.326 Au
0.500 0.778 0.222 Au
0.500 0.222 0.778 Au
0.278 0.222 0.222 Au
0.722 0.778 0.778 Au
```

ΔE_f	-278	meV per atom
offset from the most stable computed form	0.00	eV per formula unit
total moment	0.000	μB/cell

HoBe6Au12 after structural relaxation. Source: Alexandria via LeMat-Bulk, functional PBE.

Cell and atoms, written as POSCAR:
```
HoBe6Au12
1.0
7.355 0.000 0.000
-2.452 6.935 0.000
-2.452 -3.467 6.006
Ho Be Au
1 6 12
Direct
0.000 0.000 0.000 Ho
0.372 0.500 0.872 Be
0.628 0.500 0.128 Be
0.500 0.872 0.372 Be
0.500 0.128 0.628 Be
0.872 0.372 0.500 Be
0.128 0.628 0.500 Be
0.308 0.135 0.827 Au
0.308 0.481 0.173 Au
0.692 0.519 0.827 Au
0.692 0.865 0.173 Au
0.135 0.827 0.308 Au
0.481 0.173 0.308 Au
0.519 0.827 0.692 Au
0.865 0.173 0.692 Au
0.827 0.308 0.135 Au
0.173 0.308 0.481 Au
0.827 0.692 0.519 Au
0.173 0.692 0.865 Au
```

ΔE_f	-99	meV per atom
total moment	0.000	μB/cell

HoBe5Au7 after structural relaxation. Source: Alexandria via LeMat-Bulk, functional PBE.

Cell and atoms, written as POSCAR:
```
HoBe5Au7
1.0
-1.135 -2.674 -4.105
5.508 -2.202 -3.169
-0.612 -6.558 1.360
Ho Be Au
1 5 7
Direct
0.992 0.008 0.008 Ho
0.503 0.990 0.497 Be
0.010 0.990 0.497 Be
0.503 0.497 0.990 Be
0.010 0.497 0.990 Be
0.732 0.768 0.768 Be
0.651 0.349 0.349 Au
0.319 0.681 0.681 Au
0.974 0.365 0.688 Au
0.974 0.688 0.365 Au
0.273 0.227 0.227 Au
0.530 0.778 0.161 Au
0.530 0.161 0.778 Au
```

ΔE_f	-292	meV per atom
total moment	0.000	μB/cell

Ho2Be3Au9 after structural relaxation. Source: Alexandria via LeMat-Bulk, functional PBE.

Cell and atoms, written as POSCAR:
```
Ho2Be3Au9
1.0
1.235 -5.139 -5.740
-1.800 -2.480 7.176
-9.227 4.515 -0.711
Ho Be Au
4 6 18
Direct
0.339 0.246 0.751 Ho
0.661 0.754 0.249 Ho
0.995 0.587 0.749 Ho
0.005 0.413 0.251 Ho
0.500 0.000 0.000 Be
0.500 0.500 0.500 Be
0.864 0.181 0.502 Be
0.136 0.819 0.498 Be
0.179 0.363 0.998 Be
0.821 0.637 0.002 Be
0.430 0.917 0.741 Au
0.570 0.083 0.259 Au
0.676 0.689 0.759 Au
0.324 0.311 0.241 Au
0.436 0.631 0.925 Au
0.564 0.369 0.075 Au
0.206 0.512 0.575 Au
0.794 0.488 0.425 Au
0.909 0.159 0.750 Au
0.091 0.841 0.250 Au
0.141 0.988 0.942 Au
0.859 0.012 0.058 Au
0.546 0.200 0.558 Au
0.454 0.800 0.442 Au
0.880 0.857 0.569 Au
0.120 0.143 0.431 Au
0.788 0.311 0.931 Au
0.212 0.689 0.069 Au
```

ΔE_f	-446	meV per atom
total moment	0.000	μB/cell

HoBe4Au8 after structural relaxation. Source: Alexandria via LeMat-Bulk, functional PBE.

Cell and atoms, written as POSCAR:
```
HoBe4Au8
1.0
8.090 1.325 0.946
5.060 6.449 0.946
5.060 2.992 5.791
Ho Be Au
1 4 8
Direct
0.000 0.000 0.000 Ho
0.500 0.500 0.500 Be
0.500 0.500 0.000 Be
0.000 0.500 0.500 Be
0.500 0.000 0.500 Be
0.780 0.267 0.267 Au
0.267 0.267 0.780 Au
0.267 0.780 0.267 Au
0.270 0.270 0.270 Au
0.730 0.730 0.730 Au
0.733 0.733 0.220 Au
0.733 0.220 0.733 Au
0.220 0.733 0.733 Au
```

ΔE_f	38	meV per atom
offset from the most stable computed form	4.11	eV per formula unit
total moment	0.000	μB/cell

Ho2BeAu after structural relaxation. Source: Alexandria via LeMat-Bulk, functional PBE.

Cell and atoms, written as POSCAR:
```
Ho2BeAu
1.0
-2.242 0.030 -2.707
1.715 -2.703 -1.451
-4.092 -4.390 3.340
Be Au Ho
1 1 2
Direct
0.500 0.500 0.000 Be
0.500 0.500 0.500 Au